-- Data --
- - -
24
Lattice="7.879 0.000 0.000 0.000 13.767 0.000 0.000 0.000 14.172" Properties=species:S:1:pos:R:3 comment="CeSe2 | the Materials Project database | PBE | optimized geometry" space_group=Pccn delta_e_f_mev_per_atom=-1399 energy_corrected_mp2020_ev_per_atom=-5.707 vol_a3_per_atom=64.0 pbc="T T T"
Se 0.000 6.883 7.086
Se 7.306 6.205 11.391
Se 0.573 7.562 2.780
Se 4.512 6.205 4.305
Se 0.000 0.000 0.000
Se 3.939 6.883 0.000
Se 1.970 3.442 1.955
Se 1.970 3.442 9.041
Se 0.573 13.088 9.866
Se 3.939 0.000 7.086
Se 3.367 13.088 2.780
Se 3.367 7.562 9.866
Se 7.306 0.678 4.305
Se 4.512 0.678 11.391
Se 5.909 10.325 5.131
Se 5.909 10.325 12.217
Ce 2.739 0.862 9.351
Ce 6.678 12.904 11.906
Ce 5.140 7.746 11.906
Ce 1.200 0.862 2.266
Ce 5.140 12.904 4.820
Ce 2.739 6.021 2.266
Ce 1.200 6.021 9.351
Ce 6.678 7.746 4.820


Record 1
First-principles (meta-GGA r2SCAN) data for an optimized crystal structure of PuBr3, as listed in Materials Project.

Values from the calculation:
The calculation puts the size of the total moment at 5.00 μB/f.u. The total DFT energy (no corrections) comes out at -33.52 eV per atom. The calculation puts the formation enthalpy at 0 K at -1.99 eV/atom.

abc: 13.193 4.098 9.200
angles: 90.00 90.46 90.00
Space group C2/m (No. 12)
Symmetry-distinct sites (fractional):
Pu (0.240, 0.000, 0.248)
Br (0.085, 0.500, 0.251)
Br (0.149, 0.000, 0.567)
Br (0.150, 0.000, 0.933)

=====

Record 2
First-principles (meta-GGA r2SCAN) data for an optimized crystal structure of LiDy2Os, as listed in Materials Project.

Values from the calculation:
The calculation puts the size of the total moment at 0.00 μB/f.u. The total DFT energy (no corrections) comes out at -30.12 eV per atom. The calculation puts the formation enthalpy at 0 K at -0.28 eV/atom.

abc: 6.888 6.888 6.888
angles: 90.00 90.00 90.00
Space group Fm-3m (No. 225)
Symmetry-distinct sites (fractional):
Li (0.000, 0.000, 0.000)
Dy (0.250, 0.250, 0.250)
Os (0.000, 0.000, 0.500)

=====

Record 3
First-principles (meta-GGA r2SCAN) data for an optimized crystal structure of Cs2HgCl4, as listed in Materials Project.

Values from the calculation:
The calculation puts the size of the total moment at 0.00 μB/f.u. The total DFT energy (no corrections) comes out at -19.33 eV per atom. The calculation puts the formation enthalpy at 0 K at -1.58 eV/atom.

abc: 9.800 7.565 27.446
angles: 90.00 91.21 90.00
Space group P2_1/c (No. 14)
Symmetry-distinct sites (fractional):
Cs (0.007, 0.245, 0.154)
Cs (0.121, 0.724, 0.061)
Cs (0.385, 0.250, 0.287)
Cs (0.487, 0.711, 0.412)
Hg (0.199, 0.735, 0.215)
Hg (0.284, 0.220, 0.460)
Cl (0.039, 0.138, 0.279)
Cl (0.172, 0.193, 0.039)
Cl (0.176, 0.576, 0.942)
Cl (0.197, 0.088, 0.891)
Cl (0.299, 0.511, 0.670)
Cl (0.318, 0.016, 0.668)
Cl (0.330, 0.749, 0.796)
Cl (0.464, 0.742, 0.040)

=====

Record 4
First-principles (meta-GGA r2SCAN) data for an optimized crystal structure of Ti2H3, as listed in Materials Project.

Values from the calculation:
The calculation puts the size of the total moment at 0.00 μB/f.u. The total DFT energy (no corrections) comes out at -7.73 eV per atom. The calculation puts the formation enthalpy at 0 K at -0.48 eV/atom.

abc: 4.343 4.343 4.386
angles: 90.00 90.00 90.00
Space group P4_2/mcm (No. 132)
Symmetry-distinct sites (fractional):
Ti (0.238, 0.238, 0.000)
H (0.000, 0.500, 0.250)
H (0.500, 0.500, 0.250)

=====

Record 5
First-principles (meta-GGA r2SCAN) data for an optimized crystal structure of Sr3GeO, as listed in Materials Project.

Values from the calculation:
The calculation puts the size of the total moment at 0.00 μB/f.u. The total DFT energy (no corrections) comes out at -14.63 eV per atom. The calculation puts the formation enthalpy at 0 K at -1.58 eV/atom.

abc: 7.166 10.126 7.139
angles: 90.00 90.00 90.00
Space group Pnma (No. 62)
Symmetry-distinct sites (fractional):
Sr (0.010, 0.250, 0.059)
Sr (0.219, 0.031, 0.719)
Ge (0.025, 0.750, 0.495)
O (0.000, 0.000, 0.000)

=====

Record 6
- - -

-- Exercise --
Copy the lines further above from the one with "4.512 0.678" to the one with "abc: 4.343" exactly, please.

-- Here it is --
Se 4.512 0.678 11.391
Se 5.909 10.325 5.131
Se 5.909 10.325 12.217
Ce 2.739 0.862 9.351
Ce 6.678 12.904 11.906
Ce 5.140 7.746 11.906
Ce 1.200 0.862 2.266
Ce 5.140 12.904 4.820
Ce 2.739 6.021 2.266
Ce 1.200 6.021 9.351
Ce 6.678 7.746 4.820


Record 1
First-principles (meta-GGA r2SCAN) data for an optimized crystal structure of PuBr3, as listed in Materials Project.

Values from the calculation:
The calculation puts the size of the total moment at 5.00 μB/f.u. The total DFT energy (no corrections) comes out at -33.52 eV per atom. The calculation puts the formation enthalpy at 0 K at -1.99 eV/atom.

abc: 13.193 4.098 9.200
angles: 90.00 90.46 90.00
Space group C2/m (No. 12)
Symmetry-distinct sites (fractional):
Pu (0.240, 0.000, 0.248)
Br (0.085, 0.500, 0.251)
Br (0.149, 0.000, 0.567)
Br (0.150, 0.000, 0.933)

=====

Record 2
First-principles (meta-GGA r2SCAN) data for an optimized crystal structure of LiDy2Os, as listed in Materials Project.

Values from the calculation:
The calculation puts the size of the total moment at 0.00 μB/f.u. The total DFT energy (no corrections) comes out at -30.12 eV per atom. The calculation puts the formation enthalpy at 0 K at -0.28 eV/atom.

abc: 6.888 6.888 6.888
angles: 90.00 90.00 90.00
Space group Fm-3m (No. 225)
Symmetry-distinct sites (fractional):
Li (0.000, 0.000, 0.000)
Dy (0.250, 0.250, 0.250)
Os (0.000, 0.000, 0.500)

=====

Record 3
First-principles (meta-GGA r2SCAN) data for an optimized crystal structure of Cs2HgCl4, as listed in Materials Project.

Values from the calculation:
The calculation puts the size of the total moment at 0.00 μB/f.u. The total DFT energy (no corrections) comes out at -19.33 eV per atom. The calculation puts the formation enthalpy at 0 K at -1.58 eV/atom.

abc: 9.800 7.565 27.446
angles: 90.00 91.21 90.00
Space group P2_1/c (No. 14)
Symmetry-distinct sites (fractional):
Cs (0.007, 0.245, 0.154)
Cs (0.121, 0.724, 0.061)
Cs (0.385, 0.250, 0.287)
Cs (0.487, 0.711, 0.412)
Hg (0.199, 0.735, 0.215)
Hg (0.284, 0.220, 0.460)
Cl (0.039, 0.138, 0.279)
Cl (0.172, 0.193, 0.039)
Cl (0.176, 0.576, 0.942)
Cl (0.197, 0.088, 0.891)
Cl (0.299, 0.511, 0.670)
Cl (0.318, 0.016, 0.668)
Cl (0.330, 0.749, 0.796)
Cl (0.464, 0.742, 0.040)

=====

Record 4
First-principles (meta-GGA r2SCAN) data for an optimized crystal structure of Ti2H3, as listed in Materials Project.

Values from the calculation:
The calculation puts the size of the total moment at 0.00 μB/f.u. The total DFT energy (no corrections) comes out at -7.73 eV per atom. The calculation puts the formation enthalpy at 0 K at -0.48 eV/atom.

abc: 4.343 4.343 4.386